### Wanted
Please set down only the last part of the listing further down, starting with the line that has "-6.921".

### Contents
- - -
! IrN (PBE, relaxed); values from VASP
! Energy of formation, meV/atom: 1347
! Electronic total energy, eV/atom: -7.06
! Total magnetic moment, μB/f.u.: 0.0
! SG: P-6m2 (187)
&SYSTEM
  ibrav = 0, nat = 2, ntyp = 2
/
ATOMIC_SPECIES
Ir 192.22 Ir.upf
N 14.01 N.upf
CELL_PARAMETERS angstrom
1.405 -2.434 0.000
1.405 2.434 0.000
0.000 0.000 3.173
ATOMIC_POSITIONS angstrom
Ir 1.405 -0.811 0.000
N 1.405 0.811 1.587

---

! InSb3 (PBE, relaxed); values from VASP
! Energy of formation, meV/atom: 45
! Electronic total energy, eV/atom: -3.60
! Total magnetic moment, μB/f.u.: 0.0
! SG: Fm-3m (225)
&SYSTEM
  ibrav = 0, nat = 4, ntyp = 2
/
ATOMIC_SPECIES
In 114.82 In.upf
Sb 121.76 Sb.upf
CELL_PARAMETERS angstrom
0.000 3.795 3.795
3.795 0.000 3.795
3.795 3.795 0.000
ATOMIC_POSITIONS angstrom
In 0.000 0.000 0.000
Sb 1.897 1.897 1.897
Sb 5.692 5.692 5.692
Sb 3.795 3.795 3.795

---

! MnPS3 (PBE, relaxed); values from VASP
! Energy of formation, meV/atom: -701
! Electronic total energy, eV/atom: -5.80
! Total magnetic moment, μB/f.u.: 0.0
&SYSTEM
  ibrav = 0, nat = 20, ntyp = 3
/
ATOMIC_SPECIES
Mn 54.94 Mn.upf
P 30.97 P.upf
S 32.06 S.upf
CELL_PARAMETERS angstrom
1.704 5.139 2.775
7.752 -1.222 1.917
6.017 4.129 -6.921
ATOMIC_POSITIONS angstrom
Mn 8.326 2.196 1.893
Mn 7.163 0.606 -1.091
Mn 8.310 7.441 -1.137
Mn 7.147 5.850 -4.124
P 12.728 3.096 -4.687
P 6.696 4.212 -0.798
P 2.744 4.950 2.457
P 8.777 3.834 -1.432
S 6.788 4.247 1.240
S 5.068 4.352 -4.567
S 8.684 3.800 -3.469
S 10.404 3.694 2.337
S 13.373 6.651 -2.663
S 5.637 2.628 -1.548
S 6.231 0.755 1.377
S 6.215 6.000 -1.655
S 9.241 7.291 -3.606
S 9.257 2.046 -0.575
S 2.099 1.395 0.433
S 9.836 5.418 -0.681

---

! Cs3Li4B7O14 (PBE, relaxed); values from VASP
! Energy of formation, meV/atom: -2695
! Electronic total energy, eV/atom: -6.86
! Total magnetic moment, μB/f.u.: 0.0
! SG: P3_121 (152)
&SYSTEM
  ibrav = 0, nat = 84, ntyp = 4
/
ATOMIC_SPECIES
Cs 132.91 Cs.upf
Li 6.94 Li.upf
B 10.81 B.upf
O 16.00 O.upf
CELL_PARAMETERS angstrom
-6.105 3.357 0.928
0.164 -6.093 -3.501
-3.873 -13.481 23.284
ATOMIC_POSITIONS angstrom
Cs -3.284 -5.075 -1.644
Cs -5.584 -11.077 15.654
Cs -1.457 -8.503 7.253
Cs -3.873 -4.976 5.213
Cs -9.639 -12.573 21.011
Cs -5.606 -6.447 14.651
Cs -0.495 -7.866 0.653
Cs -8.857 -8.138 20.260
Cs -2.399 -6.953 11.442
Li -4.401 -2.189 2.590
Li -7.674 -10.608 18.327
Li -5.524 -5.912 10.826
Li -2.808 -5.917 2.096
Li -5.600 -14.114 18.041
Li -3.436 -9.911 10.256
Li -4.083 -1.674 -0.239
Li -8.085 -8.726 16.168
Li -4.268 -4.256 8.813
Li -3.081 -8.113 3.959
Li -6.874 -15.069 20.457
Li -3.052 -10.813 12.979
B -0.429 -4.020 0.286
B -5.554 -14.499 14.523
B -4.651 -7.214 8.313
B -6.812 -2.893 5.085
B -6.525 -10.880 21.664
B -5.473 -9.145 12.266
B -2.570 -3.573 1.487
B -3.874 -14.109 16.325
B -4.665 -9.704 8.166
B -4.719 -1.546 4.915
B -6.406 -12.259 19.588
B -7.208 -7.461 11.655
B -1.470 -1.709 0.117
B -3.148 -14.010 13.871
B -5.527 -8.312 6.197
B -5.861 -1.836 7.189
B -5.556 -13.224 21.802
B -7.881 -9.559 12.960
B -5.743 -2.644 -2.486
B -2.576 -9.191 15.406
B -1.495 -4.381 7.793
O -0.586 -0.794 0.852
O -2.606 -15.252 13.301
O -6.974 -8.060 6.160
O -6.799 -0.777 7.589
O -4.119 -13.070 22.072
O -8.358 -10.698 12.163
O -5.409 -1.380 1.134
O -6.874 -8.965 17.654
O -4.673 -6.125 9.087
O -1.800 -6.727 3.552
O -6.401 -15.756 18.714
O -4.286 -9.699 11.995
O -4.607 -2.121 -1.994
O -2.545 -10.356 14.737
O -2.662 -3.740 7.970
O -2.532 -2.252 1.039
O -2.883 -13.966 15.355
O -5.248 -9.615 6.902
O -4.800 -1.270 6.280
O -5.798 -13.282 20.315
O -8.182 -8.267 12.245
O -0.645 -2.837 -0.416
O -4.623 -13.982 13.625
O -4.871 -7.191 6.938
O -6.628 -2.897 6.465
O -6.274 -12.047 22.382
O -6.402 -9.698 13.142
O -3.716 -1.076 4.160
O -6.665 -12.384 18.278
O -7.516 -6.284 11.091
O -3.574 -4.029 2.250
O -3.601 -13.992 17.633
O -4.371 -10.888 8.724
O -1.523 -4.455 1.111
O -5.206 -14.373 15.911
O -4.365 -8.507 8.870
O -5.721 -2.356 4.319
O -6.770 -11.062 20.260
O -5.857 -7.897 11.666
O -2.205 -1.015 -0.955
- - -

### Result
6.017 4.129 -6.921
ATOMIC_POSITIONS angstrom
Mn 8.326 2.196 1.893
Mn 7.163 0.606 -1.091
Mn 8.310 7.441 -1.137
Mn 7.147 5.850 -4.124
P 12.728 3.096 -4.687
P 6.696 4.212 -0.798
P 2.744 4.950 2.457
P 8.777 3.834 -1.432
S 6.788 4.247 1.240
S 5.068 4.352 -4.567
S 8.684 3.800 -3.469
S 10.404 3.694 2.337
S 13.373 6.651 -2.663
S 5.637 2.628 -1.548
S 6.231 0.755 1.377
S 6.215 6.000 -1.655
S 9.241 7.291 -3.606
S 9.257 2.046 -0.575
S 2.099 1.395 0.433
S 9.836 5.418 -0.681

---

! Cs3Li4B7O14 (PBE, relaxed); values from VASP
! Energy of formation, meV/atom: -2695
! Electronic total energy, eV/atom: -6.86
! Total magnetic moment, μB/f.u.: 0.0
! SG: P3_121 (152)
&SYSTEM
  ibrav = 0, nat = 84, ntyp = 4
/
ATOMIC_SPECIES
Cs 132.91 Cs.upf
Li 6.94 Li.upf
B 10.81 B.upf
O 16.00 O.upf
CELL_PARAMETERS angstrom
-6.105 3.357 0.928
0.164 -6.093 -3.501
-3.873 -13.481 23.284
ATOMIC_POSITIONS angstrom
Cs -3.284 -5.075 -1.644
Cs -5.584 -11.077 15.654
Cs -1.457 -8.503 7.253
Cs -3.873 -4.976 5.213
Cs -9.639 -12.573 21.011
Cs -5.606 -6.447 14.651
Cs -0.495 -7.866 0.653
Cs -8.857 -8.138 20.260
Cs -2.399 -6.953 11.442
Li -4.401 -2.189 2.590
Li -7.674 -10.608 18.327
Li -5.524 -5.912 10.826
Li -2.808 -5.917 2.096
Li -5.600 -14.114 18.041
Li -3.436 -9.911 10.256
Li -4.083 -1.674 -0.239
Li -8.085 -8.726 16.168
Li -4.268 -4.256 8.813
Li -3.081 -8.113 3.959
Li -6.874 -15.069 20.457
Li -3.052 -10.813 12.979
B -0.429 -4.020 0.286
B -5.554 -14.499 14.523
B -4.651 -7.214 8.313
B -6.812 -2.893 5.085
B -6.525 -10.880 21.664
B -5.473 -9.145 12.266
B -2.570 -3.573 1.487
B -3.874 -14.109 16.325
B -4.665 -9.704 8.166
B -4.719 -1.546 4.915
B -6.406 -12.259 19.588
B -7.208 -7.461 11.655
B -1.470 -1.709 0.117
B -3.148 -14.010 13.871
B -5.527 -8.312 6.197
B -5.861 -1.836 7.189
B -5.556 -13.224 21.802
B -7.881 -9.559 12.960
B -5.743 -2.644 -2.486
B -2.576 -9.191 15.406
B -1.495 -4.381 7.793
O -0.586 -0.794 0.852
O -2.606 -15.252 13.301
O -6.974 -8.060 6.160
O -6.799 -0.777 7.589
O -4.119 -13.070 22.072
O -8.358 -10.698 12.163
O -5.409 -1.380 1.134
O -6.874 -8.965 17.654
O -4.673 -6.125 9.087
O -1.800 -6.727 3.552
O -6.401 -15.756 18.714
O -4.286 -9.699 11.995
O -4.607 -2.121 -1.994
O -2.545 -10.356 14.737
O -2.662 -3.740 7.970
O -2.532 -2.252 1.039
O -2.883 -13.966 15.355
O -5.248 -9.615 6.902
O -4.800 -1.270 6.280
O -5.798 -13.282 20.315
O -8.182 -8.267 12.245
O -0.645 -2.837 -0.416
O -4.623 -13.982 13.625
O -4.871 -7.191 6.938
O -6.628 -2.897 6.465
O -6.274 -12.047 22.382
O -6.402 -9.698 13.142
O -3.716 -1.076 4.160
O -6.665 -12.384 18.278
O -7.516 -6.284 11.091
O -3.574 -4.029 2.250
O -3.601 -13.992 17.633
O -4.371 -10.888 8.724
O -1.523 -4.455 1.111
O -5.206 -14.373 15.911
O -4.365 -8.507 8.870
O -5.721 -2.356 4.319
O -6.770 -11.062 20.260
O -5.857 -7.897 11.666
O -2.205 -1.015 -0.955